How to Share Your LEA's App List with the Community Using StudentDPA

StudentDPA enables Local Education Agencies (LEAs) to share a transparent and comprehensive list of apps, including their Data Privacy Agreements (DPAs) statuses, directly on their own websites. This transparency fosters trust and keeps your community informed about the digital resources being utilized. Here’s how you can leverage the "Export Settings" feature to create a widget or link for your website:

Step 1: Access Your StudentDPA Account

  • Log In: Navigate to the StudentDPA platform and log in with your authorized credentials.

Step 2: Navigate to the Apps Page

  • Find Apps Section: Once logged in, go to the 'Apps' section where you can manage and view the applications your LEA uses.

Step 3: Enable Export Settings

  • Export Button: Scroll to the bottom of the 'Apps' page and locate the 'Export Settings' button. This feature is your gateway to creating a public-facing list of your LEA's apps.

  • Make List Public: Click on 'Make List Public' to activate the feature. This action unlocks additional options for customizing what information you share.

Step 4: Customize Your List

  • Shareable Link or Embed Code: Choose between a direct link to your app list or an embed code that can be placed on your LEA's website.

(Attached: records of molecules)
The following is a quantum chemistry calculation of C18H43Cl2NO2P2Pr as an isolated structure in a non-equilibrium geometry, from the Open Molecules 2025 dataset.

Positions of all 69 atoms, in Å:
Pr  1.47  1.22  0.79
Cl  2.68  -1.09  0.34
P  1.71  1.88  -2.18
C  1.27  0.99  -3.74
C  1.16  3.64  -2.42
C  3.58  1.90  -2.21
C  -0.09  0.29  -3.60
H  2.06  0.22  -3.82
C  1.33  1.88  -4.98
H  0.58  2.67  -4.95
H  1.13  1.26  -5.86
H  2.31  2.34  -5.12
H  -0.16  -0.29  -2.67
H  -0.22  -0.40  -4.45
H  -0.92  1.01  -3.63
H  3.81  0.90  -2.62
C  4.18  1.97  -0.80
C  4.17  2.94  -3.16
H  4.10  2.62  -4.20
H  5.24  3.05  -2.92
H  3.70  3.93  -3.05
H  3.80  2.82  -0.20
H  5.27  2.13  -0.88
H  4.06  1.02  -0.25
C  -0.37  3.70  -2.61
H  1.64  3.97  -3.35
C  1.60  4.53  -1.26
H  -0.71  3.17  -3.51
H  -0.67  4.75  -2.72
H  -0.88  3.29  -1.73
H  1.15  4.22  -0.31
H  1.26  5.56  -1.46
H  2.70  4.57  -1.15
Cl  -0.79  2.61  0.87
H  -0.10  -0.19  0.42
P  -1.74  -2.46  1.86
C  -0.72  -3.87  2.45
C  -2.55  -1.71  3.36
C  -2.96  -3.10  0.64
C  0.72  -3.35  2.58
H  -0.76  -4.59  1.61
C  -1.21  -4.57  3.71
H  -1.17  -3.91  4.59
H  -0.56  -5.43  3.91
H  -2.24  -4.94  3.61
H  1.04  -2.82  1.67
H  1.41  -4.20  2.74
H  0.84  -2.65  3.42
H  -2.31  -3.67  -0.05
C  -3.56  -1.92  -0.15
C  -4.00  -4.05  1.22
H  -3.53  -4.99  1.56
H  -4.72  -4.30  0.44
H  -4.54  -3.61  2.07
H  -2.81  -1.14  -0.33
H  -4.41  -1.47  0.37
H  -3.91  -2.28  -1.12
C  -1.48  -1.12  4.29
H  -3.05  -2.56  3.87
C  -3.58  -0.64  2.98
H  -0.89  -1.88  4.81
H  -1.96  -0.50  5.06
H  -0.78  -0.47  3.74
H  -3.14  0.11  2.31
H  -3.90  -0.12  3.90
H  -4.47  -1.06  2.50
O  2.56  2.23  2.86
N  2.04  1.43  3.71
O  1.29  0.52  3.18

Values from the calculation:
electronic energy	-82642.2137	eV
LUMO energy (spin up / spin down)	2.523 / 2.523	eV
net charge	-1
multiplicity	3
<S²>	2.003
orbital gap (spin up / spin down)	0.21152 / 0.21443	hartree
E_HOMO (spin up / spin down)	-3.232 / -3.312	eV


# 1
Molecular formula: C39H50FNO15P2S4
Method: DFT, ωB97M-V/def2-TZVPD

## Properties
**Maximum force**: 9.6 eV/Å
**Kohn-Sham gap**: 7.19 eV
**SMILES**: CC(=O)OCCC[C@]1(CCCSC(=S)N(c2ccccc2)c2ccccc2)[C@@](F)([PH2]=S)C(=O)O[C@]1(CC(=O)O)[PH2]=S.C[C@@H]1COC(=O)O1.C[C@@H]1COC(=O)O1.C[C@@H]1COC(=O)O1
**LUMO energy**: -1.1728 eV

Element x y z (Å)
C 4.948299 -6.420541 -1.162787
C 4.523320 -6.275316 -2.768986
O 3.684656 -7.137764 -3.378431
O 5.074171 -5.097349 -3.518470
C 4.175538 -3.994503 -3.098934
C 4.370784 -2.609018 -3.985176
C 4.398866 -1.234676 -3.104749
C 2.945640 -0.718484 -2.530156
C 1.798175 -0.544514 -3.681247
C 1.051638 -1.917235 -4.168996
C -0.551134 -1.586847 -4.513945
S -1.759195 -2.491508 -3.406260
C -3.462528 -1.745267 -3.844478
S -3.593993 -0.717809 -5.235329
N -4.733368 -2.030699 -3.047020
C -4.741871 -3.486093 -2.630337
C -4.438194 -4.716403 -3.722083
C -4.390807 -6.316855 -3.296999
C -4.651457 -6.791895 -1.746336
C -5.002302 -5.627948 -0.645990
C -5.048980 -4.016049 -1.073682
C -4.876403 -1.081246 -1.878544

  • Additional Features:

    • Show Grade Levels: Toggle this option to display the relevant grade levels for each app.
    • Show Content Area: Include information about the subject areas each app supports.
    • Show Notes: Provide the ability to add specific notes for each app, such as usage recommendations (e.g., "For Mr. Wilson's STEM class").

Step 5: Embedding and Sharing

**Between two parts of the text: data records**
+++
{"formula": "C21H28ClN3O2", "method": "ωB97M-V/def2-TZVPD", "symbols": ["C", "C", "O", "C", "O", "C", "C", "C", "C", "C", "C", "Cl", "C", "C", "C", "C", "N", "C", "C", "C", "N", "C", "C", "C", "N", "C", "C", "H", "H", "H", "H", "H", "H", "H", "H", "H", "H", "H", "H", "H", "H", "H", "H", "H", "H", "H", "H", "H", "H", "H", "H", "H", "H", "H", "H"], "coordinates": [[-2.57927, -3.04080, -2.00870], [-2.87419, -2.47744, -0.62849], [-1.96646, -1.41174, -0.34534], [-1.32696, -1.41513, 0.82295], [-1.45106, -2.27672, 1.65668], [-0.47008, -0.16724, 1.01153], [-1.35858, 0.84833, 1.77755], [-2.67679, 1.07977, 1.09941], [-3.77760, 0.29249, 1.41869], [-4.98502, 0.45444, 0.76486], [-5.09680, 1.42138, -0.22080], [-6.60168, 1.62556, -1.05127], [-4.01998, 2.22950, -0.54375], [-2.81865, 2.05440, 0.11936], [0.75035, -0.51629, 1.86884], [1.72027, -1.40717, 1.09921], [2.16423, -0.73366, -0.10477], [3.25820, -1.41522, -0.77023], [4.09578, -0.46394, -1.62744], [4.77661, 0.63012, -0.80045], [3.83494, 1.59210, -0.29971], [3.50150, 1.82936, 0.98082], [2.56460, 2.83752, 0.97186], [2.39818, 3.14138, -0.38516], [3.17255, 2.38087, -1.13564], [1.03453, -0.50245, -0.98426], [0.01658, 0.41475, -0.31527], [-2.64159, -2.25115, -2.75294], [-3.30273, -3.81440, -2.24930], [-1.58083, -3.47042, -2.03858], [-3.88436, -2.05642, -0.58857], [-2.77044, -3.24373, 0.14685], [-0.80523, 1.78561, 1.85714], [-1.52886, 0.45745, 2.78285], [-3.68840, -0.46381, 2.18526], [-5.83415, -0.16198, 1.01680], [-4.12153, 2.98585, -1.30624], [-1.98094, 2.68857, -0.12925], [0.42842, -1.03503, 2.77271], [1.26175, 0.40619, 2.14557], [2.59156, -1.61260, 1.72712], [1.22961, -2.37152, 0.87240], [3.90582, -1.84712, -0.00154], [2.89612, -2.24597, -1.40262], [3.47529, 0.01961, -2.38119], [4.86472, -1.04516, -2.13888], [5.49807, 1.15553, -1.43547], [5.30293, 0.19310, 0.05104], [3.94058, 1.28327, 1.79103], [2.07868, 3.29194, 1.81170], [1.75996, 3.87636, -0.83558], [1.39168, -0.01967, -1.89518], [0.55025, -1.45613, -1.26715], [-0.82250, 0.57542, -0.99112], [0.50095, 1.37202, -0.11736]], "nbo_charge": [-0.622, -0.082, -0.527, 0.833, -0.621, -0.141, -0.398, -0.030, -0.209, -0.222, -0.048, 0.000, -0.243, -0.149, -0.395, -0.215, -0.466, -0.207, -0.412, -0.201, -0.155, -0.026, -0.357, -0.067, -0.280, -0.213, -0.419, 0.213, 0.217, 0.210, 0.188, 0.210, 0.221, 0.223, 0.224, 0.227, 0.227, 0.209, 0.229, 0.214, 0.199, 0.168, 0.191, 0.171, 0.222, 0.213, 0.216, 0.203, 0.215, 0.225, 0.208, 0.211, 0.161, 0.231, 0.228], "smiles": "CCOC(=O)C1(Cc2ccc(Cl)cc2)CCN(CCCn2cccn2)CC1", "mol_weight_g_mol": 389.9, "relative_energy_ev": 0.755, "energy_ev": -43319.827}

=====
+++

Embed on Your Website: Use the provided embed code or link to integrate the app list into your LEA's website. This could be done through your site's content management system (CMS) or with the help of your web administrator.

Visibility: Ensure the list is placed in a relevant section of your website where it's easily accessible to students, parents, and educators.

Step 6: Review and Update Regularly

  • Accuracy: Regularly check and update the list to ensure it reflects the current state of app usage and DPAs within your LEA.

  • Feedback: Consider gathering feedback from your community to improve the usefulness and accessibility of the information provided.

This process not only enhances transparency about the digital tools your LEA utilizes but also demonstrates your commitment to data privacy and informed technology use in education. If you encounter any difficulties or have questions about setting up your app list, the StudentDPA support team is available to assist you.